Monday, August 31, 2009


Has any of the following happened to u before?like..

a)wiping ur own mouth after feeding ur child..

b)feeding one child when your supposed to feed another child..(i did this the other day ,i was feeding my friend's son strawberries and all of sudden i was forcing strawberries into Jenna's mouth)

c)Going into the room to pick up something and suddenly not knowing why you came in..,

Does this happen to anyone?...Am i plain weird?

Wednesday, August 26, 2009


With only 6 weeks left for Jenna's birthday,im going crazy deciding upon which theme for the birthday?,who to invite,where to conduct the jus going bonkers $&^##@... i thought this is easy ,i can do it..but i must say its a lot of tough work.. though Jenna wont remember her first birthday party,i want it to be a memorable one for all of us..When she grows up and looks at her birthday photos i dont want her to tell,''mom,u seriously did that theme for my first b'day..''Moreover only the first few birthday we can decide what to do,after that they decide...initially i thought i will do Glamourcat as theme bcoz she loves cat and can say cat too but somehow my bro nd hubby dont want it.. so thinking about princess or rubber ducky theme...soo confusing.Yet to decide what cake to buy,food,what to put inside the goodie bags.... OMG!I hope i decide soon..

Friday, August 21, 2009


Today is my mom and dad's 29th anniversary and im here thousand of miles away from them...

When i was living with my parents i didnt do anything great for them,maybe we all would go for a dinner but thats all .. me and my bro didnt do anything special and i so feel guilty about it.Anyway my bro called me yesterday and said he was planning a surprise party for them and i was like DARN! why didnt i think about it .. so he made some of his friends and my mom's friend to come over and he got a cake for them ,later ticket for a movie... when they got home we had arranged a lovely mediterranean dinner...(this was my idea ).My parents had a great time and my dad thanked me but i didnt do anything just financial contribution.. oh! how i wish i was there with them .... sometimes it really sucks being far away from ur loved ones...

Wednesday, August 19, 2009



Tuesday, August 18, 2009


Jenna has been cranky for the past few days.. i blame it on the teething,what else?? Her upper two incisors are coming out ,one of them has peeked out a little too..
She has not been sleeping well in the night and yesterday night was the worst,she was up every two hours and i didnt sleep well too.
She has a drool rash because of the constant drooling and feeding her has become a challenge as she bites everytime.
She doesnt not take the teether or the cold washcloth.Her lower teeth came out without a problem and i hope this comes out sooner too .
Many more teeth to come and many more sleepless nights.. i bet the molar tooth will hurt more when it erupts..Hmm.. hope the next 16 teeth comes out with a problem.

Friday, August 14, 2009


The other day someone was telling me about Italian food and they said i wil surely love them since i love cheese.. and yesterday all of sudden i started craving pastas... i have these sudden cravings at times... like eating hersheys chocolate yogurt at 11'o clock in the night..(PLS dont get crazy ideas in ur head since i mentioned craving... it happens to me always ...pregnant or not.. Surprisingly i didn't crave much during my pregnancy.. Anyway i called up my hubby who gave me the green light to go to Olive garden today though there is plenty of food at home..So jus getting ready for the yummy dinner...

p.s:thanx to my hubby for obliging to all my crazy cravings..

Wednesday, August 12, 2009

Tuesday, August 11, 2009


I have been M.I.A for the past 3 days since we were busy camping at the Sequoia National Forest.It was first -time experience for me and Jenna and we truly enjoyed it.
Our travel was delayed by 4 hours and by the time we reached the campsite it was midnight and we had to set up the tent which took another two hours.Our campsite was beautiful,secluded and it had a stream running behind but on the downside the forest ranger warned us that the site had many bears visiting due to the stream behind.One of our friends got to see a bear too.

Jenna loved playing with the rocks and the stream behind our campsite. It was freezing cold in the night ,we spent our night around the campfire eating burgers,barbequed chicken,tomato soup.... yumm!

Misplaced records of crystals
/*
Below is a geometry-optimized TbDyZr2 structure, with properties calculated at the PBE-GGA level.

Energy relative to the lowest polymorph listed for this composition in eV/atom: 0.011
Total moment in μB per formula unit: 0.0

Geometry as CIF:
```
data_TbDyZr2
_cell_length_a 4.6899
_cell_length_b 4.6899
_cell_length_c 4.8473
_cell_angle_alpha 90.00
_cell_angle_beta 90.00
_cell_angle_gamma 90.00
_symmetry_space_group_name_H-M 'P 4/m m m'
_symmetry_Int_Tables_number 123
_symmetry_space_group_name_Hall '-P 4 2'
loop_
_atom_site_label
_atom_site_type_symbol
_atom_site_fract_x
_atom_site_fract_y
_atom_site_fract_z
_atom_site_occupancy
Tb1 Tb 0.0000 0.0000 0.0000 1
Dy1 Dy 0.5000 0.5000 0.0000 1
Zr1 Zr 0.0000 0.5000 0.5000 1
```

***

Below is a geometry-optimized CaRe2Au structure, with properties calculated at the PBE-GGA level.

Energy relative to the lowest polymorph listed for this composition in eV/atom: 0.436
Total moment in μB per formula unit: 0.0

Geometry as CIF:
```
data_CaRe2Au
_cell_length_a 3.8681
_cell_length_b 3.8681
_cell_length_c 4.7793
_cell_angle_alpha 90.00
_cell_angle_beta 90.00
_cell_angle_gamma 90.00
_symmetry_space_group_name_H-M 'P 4/m m m'
_symmetry_Int_Tables_number 123
_symmetry_space_group_name_Hall '-P 4 2'
loop_
_atom_site_label
_atom_site_type_symbol
_atom_site_fract_x
_atom_site_fract_y
_atom_site_fract_z
_atom_site_occupancy
Ca1 Ca 0.0000 0.0000 0.0000 1
Re1 Re 0.0000 0.5000 0.5000 1
Au1 Au 0.5000 0.5000 0.0000 1
```

***

Below is a geometry-optimized Nd2Sm3DyTe6 structure, with properties calculated at the PBE-GGA level.

Raw formation energy in eV/atom: -1.379
Total moment in μB per formula unit: 0.0

Geometry as CIF:
```
data_Nd2Sm3DyTe6
_cell_length_a 19.3685
_cell_length_b 4.4228
_cell_length_c 8.9438
_cell_angle_alpha 90.00
_cell_angle_beta 102.93
_cell_angle_gamma 90.00
_symmetry_space_group_name_H-M 'C 1 2/m 1'
_symmetry_Int_Tables_number 12
loop_
_symmetry_equiv_pos_as_xyz
'x,y,z'
'-x,-y,-z'
'-x,y,-z'
'x,-y,z'
'x+1/2,y+1/2,z'
'-x+1/2,-y+1/2,-z'
'-x+1/2,y+1/2,-z'
'x+1/2,-y+1/2,z'
loop_
_atom_site_label
_atom_site_type_symbol
_atom_site_fract_x
_atom_site_fract_y
_atom_site_fract_z
_atom_site_occupancy
Nd1 Nd 0.1691 0.0000 0.3361 1
Sm1 Sm 0.0000 0.5000 0.5000 1
Sm2 Sm 0.1714 0.0000 0.8341 1
Dy1 Dy 0.0000 0.5000 0.0000 1
Te1 Te 0.0020 0.0000 0.7565 1
Te2 Te 0.1625 0.5000 0.0782 1
Te3 Te 0.1644 0.5000 0.5854 1
```

***

Below is a geometry-optimized CdIrNF2 structure, with properties calculated at the PBE-GGA level.

Energy relative to the lowest polymorph listed for this composition in eV/atom: 0.000
Raw formation energy in eV/atom: -0.327
Total moment in μB per formula unit: 0.0

Geometry as CIF:
```
data_CdIrNF2
_cell_length_a 4.4848
_cell_length_b 4.4848
_cell_length_c 3.7035
_cell_angle_alpha 90.00
_cell_angle_beta 90.00
_cell_angle_gamma 90.00
_symmetry_space_group_name_H-M 'P 4/m m m'
_symmetry_Int_Tables_number 123
_symmetry_space_group_name_Hall '-P 4 2'
loop_
_atom_site_label
_atom_site_type_symbol
*/

We spotted many deers too around our campsite.

In the morning we set out on a hiking trail to see the Sherman tree which is the largest tree on earth. It was a totally different experience for me and it made me realize what a luxurious life we have and makes me appreciate more the comforts we have in life.

Thursday, August 6, 2009


Yipee! Jenna turns 10 months another 2 months ,she will be a year old.. can you believe it...??She is constantly on the go since she started walking...

She now weighs 22 pounds..

She says few words amma,abba,cat sounds like kaat,make sounds like kirr when asked how does the car go..?

She can wave bye bye and can sign come here...

Its been a month since she started walking and has completely forgotten crawling..

She makes sound like muuah when asked for kiss..

She loves home made Indian food and is not a fan of the jar food..

She loves to be around people everytime...

Nowadays,it is a challenge running behind her but i would never trade this life for anything..

Tuesday, August 4, 2009

**Materials data, kept here for reference**
____________
1.
A relaxed structure of Ce2W2N7. Source: Alexandria, functional PBE-GGA.

Cell lengths 5.2661, 6.0527, 6.0527 Å; angles 107.62, 96.77, 96.77 degrees
Fractional positions:
W  0.1015  0.7626  0.7626
W  0.8985  0.2374  0.2374
N  0.7029  0.0782  0.3977
N  0.2971  0.6023  0.9218
N  0.2971  0.9218  0.6023
N  0.2191  0.4166  0.4166
N  0.7809  0.5834  0.5834
N  0.7029  0.3977  0.0782
N  0.0000  0.0000  0.0000
Ce  0.5000  0.6941  0.3059
Ce  0.5000  0.3059  0.6941

Summary:
SG ... C2/m (12)
Raw formation energy ... -0.71 eV/atom


2.
A relaxed structure of Nb2BO6. Source: Alexandria, functional PBE-GGA.

Cell lengths 3.2456, 3.8529, 9.2973 Å; angles 85.10, 79.95, 65.09 degrees
Fractional positions:
O  0.9487  0.4005  0.7021
O  0.8583  0.1598  0.1236
O  0.1417  0.8402  0.8764
O  0.6805  0.1918  0.4473
O  0.0513  0.5995  0.2979
O  0.3195  0.8082  0.5527
Nb  0.6822  0.9710  0.6647
Nb  0.3178  0.0290  0.3353
B  0.0000  0.0000  0.0000

Summary:
SG ... C2/m (12)
Raw formation energy ... -2.04 eV/atom


Number 1: DFT total energy -9.443 eV/atom. Number 2: DFT total energy -8.322 eV/atom.

----------

(1)
# Dy3Zn3IrAu2 (GGA-PBE, relaxed)
# **Energy of formation**: -0.6812 eV/atom
# **VASP energy**: -4.346 eV per atom
# **Symmetry**: No. 189
data_Dy3Zn3IrAu2
_chemical_formula_sum 'Dy3 Zn3 Ir1 Au2'
_cell_length_a 7.2840
_cell_length_b 7.2840
_cell_length_c 4.0132
_cell_angle_alpha 90.00
_cell_angle_beta 90.00
_cell_angle_gamma 120.00
_space_group_name_H-M_alt 'P 1'
_space_group_IT_number 1
loop_
_space_group_symop_operation_xyz
'x,y,z'
loop_
_atom_site_label
_atom_site_type_symbol
_atom_site_fract_x
_atom_site_fract_y
_atom_site_fract_z
Dy1 Dy 0.0000 0.6063 0.0000
Dy2 Dy 0.3937 0.3937 0.0000
Dy3 Dy 0.6063 0.0000 0.0000
Zn1 Zn 0.0000 0.2384 0.5000
Zn2 Zn 0.2384 0.0000 0.5000
Zn3 Zn 0.7616 0.7616 0.5000
Ir1 Ir 0.0000 0.0000 0.0000
Au1 Au 0.3333 0.6667 0.5000
Au2 Au 0.6667 0.3333 0.5000



(2)
# KDyAuSe3 (GGA-PBE, relaxed)
# **VASP energy**: -4.349 eV per atom
# **Symmetry**: No. 63
data_KDyAuSe3
_chemical_formula_sum 'K2 Dy2 Au2 Se6'
_cell_length_a 7.9767
_cell_length_b 7.9767
_cell_length_c 10.6817
_cell_angle_alpha 90.00
_cell_angle_beta 90.00
_cell_angle_gamma 150.24
_space_group_name_H-M_alt 'P 1'
_space_group_IT_number 1
loop_
_space_group_symop_operation_xyz
'x,y,z'
loop_
_atom_site_label
_atom_site_type_symbol
_atom_site_fract_x
_atom_site_fract_y
_atom_site_fract_z
K1 K 0.2433 0.7567 0.7500
K2 K 0.7567 0.2433 0.2500
Dy1 Dy 0.0000 0.0000 0.0000
Dy2 Dy 0.0000 0.0000 0.5000
Au1 Au 0.4676 0.5324 0.2500
Au2 Au 0.5324 0.4676 0.7500
Se1 Se 0.0776 0.9224 0.2500
Se2 Se 0.3717 0.6283 0.0515
Se3 Se 0.3717 0.6283 0.4485
Se4 Se 0.6283 0.3717 0.5515
Se5 Se 0.6283 0.3717 0.9485
Se6 Se 0.9224 0.0776 0.7500



(3)
# KDyTe3Au (GGA-PBE, relaxed)
# **VASP energy**: -3.983 eV per atom
# **Symmetry**: No. 63
data_KDyTe3Au
_chemical_formula_sum 'K2 Dy2 Te6 Au2'
_cell_length_a 8.5771
_cell_length_b 8.5771
_cell_length_c 11.3046
_cell_angle_alpha 90.00
_cell_angle_beta 90.00
____________


I just love this video and wanted to share it with others. As you can see the squirrel is absolutely terrified of her, and you can see her signing to the squirrel to come by waving her hand.

P.S -The credit goes to my hubby for getting such a candid moment between them.

Monday, August 3, 2009

<<<
# 1
DFT (PBE) results for crystalline Zr2CuRh at its relaxed geometry.

total energy = -7.466 eV per atom
ΔH_f (0 K) = -7.61 kcal/mol of atoms

Cell and atoms, written as POSCAR:
```
Zr2CuRh
1.0
5.113 -1.544 0.000
5.113 1.544 0.000
-1.105 0.000 4.541
Zr Cu Rh
2 1 1
direct
0.000 0.000 0.000
0.225 0.225 0.654
0.474 0.474 0.490
0.767 0.767 0.188
```


# 2
DFT (PBE) results for crystalline TaMnCu2 at its relaxed geometry.

excess energy over the best structure of this formula in the dataset = 0.169 eV/atom
total energy = -7.046 eV per atom
ΔH_f (0 K) = 5.95 kcal/mol of atoms

Cell and atoms, written as POSCAR:
```
TaMnCu2
1.0
0.000 3.005 3.005
3.005 0.000 3.005
3.005 3.005 0.000
Ta Mn Cu
1 1 2
direct
0.000 0.000 0.000
0.250 0.250 0.250
0.500 0.500 0.500
0.750 0.750 0.750
```


# 3
DFT (PBE) results for crystalline NpBeGa at its relaxed geometry.

total energy = -6.509 eV per atom
ΔH_f (0 K) = 1.29 kcal/mol of atoms

Cell and atoms, written as POSCAR:
```
NpBeGa
1.0
1.905 1.100 7.495
-1.905 1.100 7.495
0.000 -2.199 7.495
Np Be Ga
2 2 2
direct
0.141 0.141 0.141
0.859 0.859 0.859
0.264 0.264 0.264
0.736 0.736 0.736
0.372 0.372 0.372
0.628 0.628 0.628
```


# 4
DFT (PBE) results for crystalline PrZnAu6 at its relaxed geometry.

total energy = -3.528 eV per atom
ΔH_f (0 K) = -7.22 kcal/mol of atoms

Cell and atoms, written as POSCAR:
```
PrZnAu6
1.0
4.087 0.000 0.000
0.000 4.087 0.000
0.000 0.000 10.080
Pr Zn Au
1 1 6
direct
0.000 0.000 0.000
0.000 0.000 0.500
0.000 0.500 0.330
0.000 0.500 0.670
0.500 0.000 0.330
0.500 0.000 0.670
0.500 0.500 0.134
0.500 0.500 0.866
```


# 5
DFT (PBE) results for crystalline Ca2NiAg at its relaxed geometry.

total energy = -3.051 eV per atom
ΔH_f (0 K) = 2.49 kcal/mol of atoms

Cell and atoms, written as POSCAR:
```
Ca2NiAg
1.0
0.000 3.524 3.524
3.524 0.000 3.524
3.524 3.524 0.000
Ca Ni Ag
2 1 1
direct
0.000 0.000 0.000
0.250 0.250 0.250
0.750 0.750 0.750
0.500 0.500 0.500
```


# 6
DFT (PBE) results for crystalline AcNdPb4 at its relaxed geometry.

excess energy over the best structure of this formula in the dataset = 0.000 eV/atom
total energy = -4.333 eV per atom
ΔH_f (0 K) = -8.80 kcal/mol of atoms

Cell and atoms, written as POSCAR:
```
AcNdPb4
1.0
2.447 -11.711 0.000
2.447 11.711 0.000
0.000 0.000 6.977
Ac Nd Pb
2 2 8
direct
0.223 0.777 0.750
0.777 0.223 0.250
0.074 0.926 0.250
0.926 0.074 0.750
0.075 0.925 0.750
0.352 0.648 0.507
0.352 0.648 0.993
0.500 0.500 0.000
0.500 0.500 0.500
0.648 0.352 0.007
0.648 0.352 0.493
0.925 0.075 0.250
```


(1)
# NiHgCl2 GGA-PBE optimized geometry
# - Space-group type: Cmm2, No. 35
# - Raw formation energy: -0.79 eV/f.u.
# - Energy relative to the lowest polymorph listed for this composition: 0.229 eV/atom
# - Volume: 107.9 Å³/cell
data_NiHgCl2
_symmetry_space_group_name_H-M 'P 1'
_symmetry_Int_Tables_number 1
_cell_length_a 4.063
_cell_length_b 4.063
_cell_length_c 8.761
_cell_angle_alpha 90.00
_cell_angle_beta 90.00
_cell_angle_gamma 131.73
loop_
_symmetry_equiv_pos_as_xyz
>>>


When me and my hubby thought it was high time we clean up our acts for being late every time we had a get-together with friends we ended up being too errrr on!... ok so we decided to leave early for the barbecue on saturday evening but guess what... the friend who organised the barbecue had ended up giving a wrong location ,so we were searching for the location for 2 hours and got together with the other invited people who were just lost like us and later we called the organising friend to come and take us to the spot.. but guess what he lost his way too while taking us....grrr!this was a big lake and he took us to one end whereas the spot was on the other end... i have never ever walked so much in my life.. my legs hurt like hell and Jenna did not want to sit in the stroller, finally we ended up taking turns carrying her until we reached the spot..we just stayed there for an hour coz my hubby was going for the soccer match.. so we didnt get to stay long as we had to leave early!

The next day was our friend 's baby shower... she had time and again warned us to be on time,considering our previous records for turning up late... so we got up at 5.30 in the morning,so we all dressed up on time and was there at 8.00 perfectly,only to find there was no one there in the location where it was supposed to be held...then called up my dear friend who said she was just starting from home... anyway the baby shower was gr8,only thing i had to keep running behind Jenna who was walking super fast... i know its tiring to read such a long post,imagine how tired i would be by just being there and writing it too.....